Image provided by: blue2kMbSheel is a module based Shell for the Playstation Portable. This is a first development build, functionality will be added soon.http://www.dcemu.co.uk/vbulletin/showthread.php?t=14931
Image provided by: blue2kMbSheel is a module based Shell for the Playstation Portable. This is a first development build, functionality will be added soon.http://www.dcemu.co.uk/vbulletin/showthread.php?t=14931
Image provided by: birslipOh yes! Spout is now available for the Nintendo DS. This game seems to be heavily ported to all possible systems at the moment. For those who do not know about Spout. It’s a very simple but abstract shooter. Thanks to wraggster for the news.http://birslip.pizz.biz/
Image provided by: GP32xJochang has released Sterm for the GP2x. It is a terminal emulation program with virtual keyboard input.
Hi. Here is a simple terminal emulator for gp2x, sterm. Through it, you can access shell and other terminal programs. I think it may be useful for exploring your gp2x linux system, Enjoy!
Image provided by: joanvrjoanvr has released a new single effect demo called hell. It’s avaliable for the GP32 and the GP2x.http://www.gp32spain.com/foros/showthread.php?t=25070
Guyfawkes has updated his GP2x User Guide which is the most comprehensive information for starters. Release notes:
I have released a new version of the GP2X User Guide. This update is mostly minor changes to various parts of the guide and an update to the GP2X dev introduction which should be more complete now (still not finished though) as I forgot to mention you need MinSys installed. Thanks to everyone that helped out and emailed me additions or changes, I have added you to the Thanks page in the guide. In the next few days I will be giving the guide to a few people who will translate the guide to German and French, if you would like to translate to another language please let me know at guyfawkes@NOSPAMgbaemu.com or PM me.
Image provided by: GP32xPySlide, a sliding puzzle game for the GP2x, has been released by Barnesy.
Here’s my first attempt at writing a game (or anything else, for that matter) from scratch using Python and Pygame. To run it, you’ll need theoddbot’s python/pygame package.
NEO4ALL is an alternative Open Source NEOGEO/CD emulator for the Dreamcast by Chui&Fox68k. Release notes:
First, you need convert your NEOGEO game roms with convert tool included. Second, toast all files of dreamcast directory and place your converted roms where you want. At the moment, 10 large games have preliminar prefetch for fine playing:
Art Of Fighting. Blazing Star. Captain Tomaday. Magical Drop III. Metal Slug X. Shock Troopers. Aero Fighters 3 / Sonic Wings 3. SNK vs Capcom – SVC Chaos. Tecmo World Soccer ’96. Zed Blade / Operation Ragnarok. Games below 16MBytes can be played without problems, i have tested 44 games. Another games of compatibily list can be loaded, but you will have a lot of cdrom read switching.
See README.txt.
Image provided by: barnesyBalluz is a nice little rubik’s style puzzle game. The aim of the game is to match up the pairs of coloured tiles. You start with an outer row and an inner row. You can rotate both rows together, or use one tool to rotate only the inner row, or another tool to swap the positions of an inner row and outer row tile.http://www.gp32x.com/board/index.php?showtopic=2287
zodttd strikes again! GP2PSX a Playstation emulator for the GP2x has been updated. Here are the release notes:
I’ve updated GP2PSX to version 0.09. It’s a fairly good update though, considering I’ve added a file menu of sorts, and a faster blitter.
Not to mention…Framerate indicator as well as frameskip options! Yay!
But wait…drumroll…there’s MORE! That framerate indicator will now read 60 FPS on some titles!
BUSTER BROS COLLECTION was the first game I tested to run at 50+ (yes PLUS!) frames per second smoothly in gameplay. This is with frameskip at 1 or 3 depending. Not too shabby eh? ;P
I’m testing Final Fantasy Tactics now and there was some graphical issues with the intro screen. Those will be sorted out soon.
Suikoden 1 works now too! I had to slow down the emulator to get compatbility up, and this is one of the newly working games. Otherwise Buster Bros would run at 60 FPS. :/ Also, keep in mind the faster your SD card is, the quicker the ISO buffer will fill, the faster the game will play. I test GP2PSX on a 66X SD card. There’s a 150X card I have my eye on.
There’s plenty of bugs to be fixed, as compatibility is still low. But it’s catching up.
These records of crystals were left in the piece by mistake >
/*
Entry 1:
For K4TeF, a cell relaxed with GGA-PBE gives the theoretical X-ray diffraction stick pattern in this record (Cu Kα (λ = 1.5418 Å)).

Atomic structure:
abc: 6.1309 5.2764 8.5380
angles: 90.00 110.44 90.00
Space group Pm (No. 6)
Inequivalent atoms, fractional coordinates:
K: 0.0000 0.0000 0.0000 x1
K: 0.2175 0.0000 0.4808 x1
K: 0.4467 0.5000 0.8900 x1
K: 0.6780 0.5000 0.4660 x1
Te: 0.5934 0.0000 0.1922 x1
F: 0.3204 0.5000 0.5675 x1

Principal peaks in the range 2θ from 15° to 90°, by angle:
2θ (°), d_spacing, intensity, (hkl)
15.42, 5.745, 43.5, 1 0 0
15.53, 5.705, 26.3, 1 0 -1
16.80, 5.276, 24.5, 0 1 0
20.16, 4.405, 82.4, 0 1 1
27.79, 3.210, 65.7, 1 1 1
27.98, 3.189, 100.0, 1 1 -2
29.13, 3.065, 54.4, 2 0 -1
33.98, 2.638, 38.1, 0 2 0
35.81, 2.508, 61.8, 1 1 2
45.34, 2.000, 43.3, 2 2 -1

---

Entry 2:
For KTe2F9, a cell relaxed with GGA-PBE gives the theoretical X-ray diffraction stick pattern in this record (Cu Kα (λ = 1.5418 Å)).

Atomic structure:
abc: 4.9899 9.5150 9.5190
angles: 110.15 96.39 95.58
Space group P-1 (No. 2)
Inequivalent atoms, fractional coordinates:
K: 0.1204 0.2556 0.0455 x2
Te: 0.1374 0.4049 0.6756 x2
Te: 0.3888 0.9648 0.6914 x2
F: 0.0628 0.4313 0.3459 x2
F: 0.1068 0.5895 0.1822 x2
F: 0.1556 0.9598 0.8486 x2
F: 0.1910 0.7443 0.4672 x2
F: 0.2493 0.2390 0.7513 x2
F: 0.2863 0.0461 0.4157 x2
F: 0.3609 0.5610 0.8564 x2
F: 0.3640 0.8968 0.1374 x2
F: 0.4805 0.1993 0.2643 x2

Principal peaks in the range 2θ from 15° to 90°, by angle:
2θ (°), d_spacing, intensity, (hkl)
19.33, 4.592, 62.8, 1 -1 0
20.11, 4.416, 73.9, 0 0 2
21.99, 4.043, 100.0, 1 1 0
22.23, 3.999, 27.0, -1 1 1
22.79, 3.901, 84.1, 0 2 -2
25.11, 3.546, 59.8, 1 1 -2
25.58, 3.482, 45.1, 0 2 1
30.36, 2.944, 27.1, 0 0 3
42.85, 2.111, 23.3, 1 3 1
42.96, 2.105, 26.7, 1 1 3

---

What did the second record say?
For KTe2F9, a cell relaxed with GGA-PBE gives the theoretical X-ray diffraction stick pattern in this record (Cu Kα (λ = 1.5418 Å)).

Atomic structure:
abc: 4.9899 9.5150 9.5190
angles: 110.15 96.39 95.58
Space group P-1 (No. 2)
Inequivalent atoms, fractional coordinates:
K: 0.1204 0.2556 0.0455 x2
Te: 0.1374 0.4049 0.6756 x2
Te: 0.3888 0.9648 0.6914 x2
F: 0.0628 0.4313 0.3459 x2
F: 0.1068 0.5895 0.1822 x2
F: 0.1556 0.9598 0.8486 x2
F: 0.1910 0.7443 0.4672 x2
F: 0.2493 0.2390 0.7513 x2
F: 0.2863 0.0461 0.4157 x2
F: 0.3609 0.5610 0.8564 x2
F: 0.3640 0.8968 0.1374 x2
F: 0.4805 0.1993 0.2643 x2

Principal peaks in the range 2θ from 15° to 90°, by angle:
2θ (°), d_spacing, intensity, (hkl)
19.33, 4.592, 62.8, 1 -1 0
20.11, 4.416, 73.9, 0 0 2
21.99, 4.043, 100.0, 1 1 0
22.23, 3.999, 27.0, -1 1 1
22.79, 3.901, 84.1, 0 2 -2
25.11, 3.546, 59.8, 1 1 -2
25.58, 3.482, 45.1, 0 2 1
30.36, 2.944, 27.1, 0 0 3
42.85, 2.111, 23.3, 1 3 1
42.96, 2.105, 26.7, 1 1 3

=====

(1)
For Re3RuN6O14, a PBE-relaxed structure gives the simulated X-ray powder pattern in this record (Cu Kα X-rays).
Neutral-atom scattering factors, no anomalous dispersion.

Crystal structure
*/
Here the piece continues >
I ask that someone once again starts a compatibility thread for GP2PSX like what was done for the Zodiac version. Hopefully this time we’ll see some working playable games pop up! I’m going to go back to the Zodiac version eventually and fix the bug that was slowing down the emu so much and see if it gets the Zodiac a working PSX emu. If so maybe even hydro thunder will work (nerys!).
So to go into more detail:
1. File Menu – It’s a little corny looking but it works. When GP2PSX loads, you will see a file menu to choose your game. It will only load .Z, .ZNX, and .BIN files. There’s a small bug in it currently that makes it list the .table files without the .table extension. The .table file is always the second file of that name. Anyways, press the X button to choose your game.
2. Games run MUCH FASTER due to a bug I’ve been trying to track down now for ages. It caused the emu to go into a loop doing nothing constantly. This is why the emu went fast but seemed to only show a frame each second.
3. Better support for games – More games are starting to work, or at least begin to.
4. Framerate/Frameskip – Use the volume up/down to change the frameskip. Framerate will appear at the top left of the screen as well. Hope this helps. ;P
5. A faster screen blit / screen stretch – It seems some games I like to play use some of the odder of screen widths the PSX supports, so I kept the stretch function, but made a check to not use it if the screen fits the GP2X, duh.Grab GP2PSX at: http://www.friggingames.com/gp2psx09.zip
Btw, I’ll see what I can do to get the logo put into the emu. It didn’t make it into this build. :/
Next to come:
– HLE for faster emulation and no need for a BIOS
– Better compatibility
– Faster GPU core.There’s still room for improvement, but I think this release will show you a good game or two to play, fullspeed. So things are looking up for the GP2X.
This is not a game yet, but read the author notes:
Let me first start off as this game was done to prove someone at school of my codeing capabilities. As forthe game it’s really dull just deflect the ball as it comes towards your paddle. Great for an Lua Example. .:Upcoming Versions:.-Multi Player Support (Wireless-LAN)-Music Select menu-Smooth Paddle Movement-Random Ball Movements